____________
For Te3Pd5, a crystal structure in Alexandria, relaxed with GGA-PBE gives the calculated powder XRD pattern in this record (Cu Kα).

Largest 12 diffraction maxima, low angle first, 2θ = 5–70°:
| 2θ (°) | I (rel.) |
| --- | --- |
| 12.85 | 198 |
| 21.06 | 423 |
| 24.74 | 192 |
| 25.86 | 110 |
| 29.95 | 326 |
| 36.90 | 198 |
| 39.23 | 72 |
| 42.87 | 1000 |
| 48.23 | 91 |
| 53.18 | 85 |
| 57.82 | 106 |
| 62.24 | 162 |

Structural model:
a = 8.438 Å, b = 8.438 Å, c = 8.438 Å
α = 60.00°, β = 60.00°, γ = 60.00°
Positions (direct):
Te (0.000, 0.000, 0.000)
Te (0.000, 0.000, 0.500)
Te (0.000, 0.500, 0.000)
Te (0.375, 0.375, 0.375)
Te (0.500, 0.000, 0.000)
Te (0.625, 0.625, 0.625)
Pd (0.125, 0.125, 0.125)
Pd (0.251, 0.251, 0.251)
Pd (0.251, 0.251, 0.748)
Pd (0.251, 0.748, 0.251)
Pd (0.252, 0.749, 0.749)
Pd (0.748, 0.251, 0.251)
Pd (0.749, 0.252, 0.749)
Pd (0.749, 0.749, 0.252)
Pd (0.749, 0.749, 0.749)
Pd (0.875, 0.875, 0.875)
____________

What is needed: echo only the lines further above with the word "Cu" in them.

For Te3Pd5, a crystal structure in Alexandria, relaxed with GGA-PBE gives the calculated powder XRD pattern in this record (Cu Kα).